
This made so much sense at the beginning

Much Ado About Nothing · 06/24/2004

7:30pm – “Much Ado About Nothing”, 1993

Will they chase a pig later?

In this we see Keanu in leather pants receiving a massage from another man. This might be a throw back to “Idaho.”

Keanu in his first Shakespeare production. He will later go on to perform Hamlet (after a role in a stage production of “The Tempest”) on stage to much lauding. Is “lauding” the correct word? I mean to say that he received scathing reviews for it (but what does “scathing” really mean). Probably because he had to don an accent. Likely a Canadian one.

In how many movies does Keanu put on a fake accent? Does that include Canadian accents? Yes, of course.

Much conversation regarding teeth of all cast members – likely all this kissing (onscreen) & talk of kissing (on and offscreen) which is steering the conversation orally. There are only so many ways to say (they are kissing! they’re going to kiss!) – actually 2 or 3 – to talk about kissing, at least without making it sound like you are in some high falutin’ Shakespeare movie/play thing.

+++
Version w
Density functional theory data (wB97M-V/def2-TZVPD) for 2 unconnected molecules or ions with the total composition C3H11NO.

Each line ends with the Mulliken charge.
Atoms and positions in Å:
C1 -0.1914 2.1853 -1.3653  -1.0892
C2 -0.6925 1.9323 0.0726  -0.1636
O1 0.0244 1.0431 0.8399  -0.3907
C3 0.8250 -0.0563 0.4163  -0.5560
H1 -0.7382 3.0063 -1.8429  0.3471
H2 0.8708 2.4055 -1.4533  0.2972
H3 -0.3465 1.2726 -1.9411  0.3047
H4 -1.7372 1.5731 -0.0850  0.2350
H5 -0.7385 2.8654 0.6397  0.2819
H6 0.5200 -0.8914 1.0299  0.2061
H7 1.8662 0.2329 0.4538  0.2595
H8 0.4623 -0.4188 -0.5582  0.2658
N1 -0.2561 -3.7051 0.9796  -0.6267
H9 -0.2644 -4.6951 0.7981  0.2094
H10 0.2333 -3.4983 1.8336  0.2155
H11 0.1627 -3.2516 0.1822  0.2041

Summary:
HOMO energy = -9.5 eV
total charge = 0
gap between HOMO and LUMO = 10.42 eV
SMILES = CCOC.N
molar mass = 77.13 g/mol

Version x
Density functional theory data (wB97M-V/def2-TZVPD) for 2 unconnected molecules or ions with the total composition C3H11NO.

Each line ends with the Mulliken charge.
Atoms and positions in Å:
N1 2.0858 2.6141 -2.6030  -0.5554
C1 3.0287 2.4079 -1.4753  -0.0107
O1 3.5123 1.0029 -1.5503  -0.4657
H1 1.8812 1.8912 -3.3678  0.2178
H2 1.3178 3.2097 -2.2347  0.1915
H3 3.7956 3.2328 -1.6071  0.1817
H4 2.4809 2.5247 -0.4739  0.2102
H5 3.0552 0.8026 -2.3673  0.2305
C2 -1.8421 -2.2030 1.9818  -0.7590
C3 -3.3995 -2.2379 1.9661  -0.8161
H6 -1.3310 -2.9570 2.6363  0.2594
H7 -1.6350 -1.1669 2.2678  0.2377
H8 -1.4348 -2.3554 1.0195  0.2793
H9 -3.8372 -1.5985 1.2112  0.2829
H10 -3.6767 -3.2833 1.7430  0.2447
H11 -4.0009 -1.8840 2.8540  0.2710

Summary:
HOMO energy = -9.3 eV
total charge = 0
gap between HOMO and LUMO = 10.20 eV
SMILES = NCO.CC
molar mass = 77.13 g/mol

Q: Which of them is the least stable? A: version x.

Version w
Density functional theory data (wB97M-V/def2-TZVPD) for 2 unconnected molecules or ions with the total composition C3H11NO.

Each line ends with the Mulliken charge.
Atoms and positions in Å:
C1 0.2175 -2.6694 -0.5159  -1.2852
C2 0.0386 -1.4057 0.3342  -0.4844
C3 -0.4316 -0.1771 -0.4404  -0.2011
N1 -0.9841 0.8388 0.4429  -0.5022
H1 0.8606 -2.5002 -1.3691  0.3291
H2 -0.7393 -3.0353 -0.8985  0.3404
H3 0.6280 -3.4447 0.1267  0.3507
H4 -0.6773 -1.6188 1.1209  0.3645
H5 1.0030 -1.2020 0.8220  0.2762
H6 -1.1681 -0.5122 -1.1744  0.3137
H7 0.3985 0.2463 -1.0010  0.1239
H8 -1.7909 1.3236 0.1032  0.2153
H9 -0.9204 0.6370 1.4257  0.1708
O1 1.0661 3.1153 0.1750  -0.6861
H10 1.7043 2.4369 -0.1138  0.2982
H11 0.2160 2.6451 0.1414  0.3762

Summary:
HOMO energy = -9.3 eV
total charge = 0
gap between HOMO and LUMO = 10.32 eV
SMILES = CCCN.O
molar mass = 77.13 g/mol

Version x
Density functional theory data (wB97M-V/def2-TZVPD) for 2 unconnected molecules or ions with the total composition C3H11NO.

Each line ends with the Mulliken charge.
Atoms and positions in Å:
C1 0.6926 -0.9801 1.7780  -1.1953
C2 1.0796 -0.1976 0.5003  -0.2519
N1 -0.0139 0.6764 0.1052  -0.3872
+++

Some confusion about if Shakespeare wrote this initially as a movie script or a radioplay.

Is the first Keanuriffic facial hair/beard we have seen?

8:24 – a brief nap and back to Much Ado, just in time for what Matt is deeming the scene he “remembers from the theater.” Guess it made a big impression.

So is the couch we watch the ‘thon from the Keanu-couch? This gets discussed and changed to the Keanch, as in, “whoever’s holding the Keanch gets to talk.”

I’m never sure how I feel about Keanu facial hair. He just has such a pretty, pretty face that hair doesn’t seem to do anything for it, it just covers it up. We put our three brains (some would say one total) together and come up with the other movie we’ve seen so far with Keanu beardliness: I Love You to Death, where he has some scruffiness on his face to go along with his wacky wacky hair. Matt says this is what Keanuthon is all about: us all coming together. Plus—to continue the facial hair diatribe—he really doesn’t grow a good beard. It comes in scruffy and a little patchy. He does have interesting facial hair outlines, though; there’s a little line on each side of his mouth that’s hairfree.

We have also been wondering (earlier, but nobody has logged it yet) why Keanu was in “Providence”...did he know someone? Or, like Paula Abdul, had they just heard about the “phenomenal” actor Keanu Reeves and demanded to have him in a cameo in their cute little homemade movie?

We have decided that it might sound more classy and inspirational if we refer to all of Keanu’s early walk-on parts in things like “Letting Go” or “Youngblood” as “cameos” instead of “walk-on roles.”

I'm looking for the Bulls to cover the spread. — hardball